Brief:
Restate the material underneath with every line break kept.

File:
/*
Diffraction record for Cu12Pd5Pt2. The powder diffractogram is simulated, not measured: it uses a PBE-relaxed structure and Cu Kα (λ = 1.5418 Å).
Kinematic intensities with the Lorentz-polarization factor, no thermal factor.

Cell and atoms:
Lattice parameters (Å, degrees): 9.7898 8.4615 7.1517 90.00 118.71 90.00
Space group C2/m (No. 12)
Inequivalent atoms, fractional coordinates:
Cu 0.0950 0.0000 0.3447 x4
Cu 0.1003 0.2327 0.9149 x8
Cu 0.1068 0.5000 0.4107 x4
Cu 0.1917 0.2519 0.3029 x8
Pd 0.0000 0.5000 0.0000 x2
Pd 0.1889 0.0000 0.7566 x4
Pd 0.2057 0.5000 0.8152 x4
Pt 0.0000 0.2465 0.5000 x4

Principal peaks in the range 5° ≤ 2θ ≤ 70°, low angle first:
(hkl)	2θ (°)	d (Å)	intensity
2 0 -1	18.61	4.768	9
2 2 0	29.65	3.013	11
0 2 2	35.63	2.519	11
0 4 0	42.75	2.115	35
4 2 -1	43.10	2.099	100
2 2 -3	43.58	2.077	64
2 4 2	62.34	1.489	20
6 0 -4	63.58	1.463	10

=====

No. 1
Starting from a structure optimized by DFT (PBE), the powder XRD pattern of Tb6Sm3Er was computed for Cu Kα (λ = 1.5418 Å).
Peak positions follow from Bragg's law for the DFT cell and can differ from measured ones.

Main lines, most intense first (15° ≤ 2θ ≤ 90°):
d/Å	I/Imax
2.858	100
2.642	34
2.802	32
1.661	24
1.431	21
3.142	21

Cell and atoms:
a = 11.5212 Å, b = 6.6191 Å, c = 9.6132 Å
α = 90.00°, β = 113.98°, γ = 90.00°
Space group C2/m (No. 12)
Asymmetric unit:
Tb (0.1369, 0.0000, 0.4224) (multiplicity 4)
Tb (0.1866, 0.2470, 0.8095) (multiplicity 8)
Sm (0.0000, 0.5000, 0.5000) (multiplicity 2)
Sm (0.0684, 0.5000, 0.1956) (multiplicity 4)
Er (0.0000, 0.0000, 0.0000) (multiplicity 2)

***

No. 2
Starting from a structure optimized by DFT (PBE), the powder XRD pattern of Ca2AlH10ClO8 was computed for Cu Kα (λ = 1.5418 Å).
Peak positions follow from Bragg's law for the DFT cell and can differ from measured ones.

Main lines, most intense first (15° ≤ 2θ ≤ 90°):
d/Å	I/Imax
2.877	100
4.065	98
3.920	94
2.304	68
2.214	50
2.393	42

Cell and atoms:
a = 9.9382 Å, b = 5.8189 Å, c = 16.7589 Å
α = 90.00°, β = 104.01°, γ = 90.00°
Space group Cc (No. 9)
Asymmetric unit:
Ca (0.0000, 0.1871, 0.0000) (multiplicity 4)
Ca (0.1969, 0.3117, 0.5725) (multiplicity 4)
Al (0.3489, 0.1871, 0.0362) (multiplicity 4)
H (0.0015, 0.4518, 0.1534) (multiplicity 4)
H (0.1925, 0.4174, 0.9187) (multiplicity 4)
H (0.2096, 0.4186, 0.7538) (multiplicity 4)
H (0.2261, 0.1416, 0.1537) (multiplicity 4)
H (0.2341, 0.0868, 0.4187) (multiplicity 4)
H (0.3415, 0.2779, 0.3185) (multiplicity 4)
H (0.3465, 0.2756, 0.7554) (multiplicity 4)
H (0.4665, 0.4595, 0.1522) (multiplicity 4)
H (0.4749, 0.2207, 0.9204) (multiplicity 4)
H (0.4799, 0.4140, 0.3175) (multiplicity 4)
Cl (0.0956, 0.2501, 0.2864) (multiplicity 4)
O (0.0002, 0.4948, 0.5981) (multiplicity 4)
O (0.1973, 0.3702, 0.9749) (multiplicity 4)
O (0.2194, 0.0880, 0.0979) (multiplicity 4)
O (0.2496, 0.2989, 0.7252) (multiplicity 4)
O (0.2955, 0.0902, 0.4738) (multiplicity 4)
O (0.4022, 0.4657, 0.0984) (multiplicity 4)
O (0.4395, 0.2976, 0.3472) (multiplicity 4)
O (0.4782, 0.2864, 0.9742) (multiplicity 4)

***

No. 3
Starting from a structure optimized by DFT (PBE), the powder XRD pattern of TbPu3I8 was computed for Cu Kα (λ = 1.5418 Å).
Peak positions follow from Bragg's law for the DFT cell and can differ from measured ones.

Main lines, most intense first (15° ≤ 2θ ≤ 90°):
d/Å	I/Imax
3.153	100
2.151	34
3.680	31
2.314	28
2.322	14
2.075	14

Cell and atoms:
a = 14.9060 Å, b = 8.6020 Å, c = 9.3426 Å
α = 90.00°, β = 122.38°, γ = 90.00°
Space group C2/m (No. 12)
Asymmetric unit:
Tb (0.0000, 0.0000, 0.0000) (multiplicity 2)
Pu (0.0000, 0.5000, 0.0000) (multiplicity 2)
Pu (0.2500, 0.2500, 0.0000) (multiplicity 4)
I (0.0011, 0.2439, 0.2455) (multiplicity 8)
I (0.2449, 0.0000, 0.2456) (multiplicity 4)
I (0.2501, 0.0000, 0.7522) (multiplicity 4)

***

No. 4
Starting from a structure optimized by DFT (PBE), the powder XRD pattern of PrEuZr was computed for Cu Kα (λ = 1.5418 Å).
Peak positions follow from Bragg's law for the DFT cell and can differ from measured ones.
*/

Done:
Diffraction record for Cu12Pd5Pt2. The powder diffractogram is simulated, not measured: it uses a PBE-relaxed structure and Cu Kα (λ = 1.5418 Å).
Kinematic intensities with the Lorentz-polarization factor, no thermal factor.

Cell and atoms:
Lattice parameters (Å, degrees): 9.7898 8.4615 7.1517 90.00 118.71 90.00
Space group C2/m (No. 12)
Inequivalent atoms, fractional coordinates:
Cu 0.0950 0.0000 0.3447 x4
Cu 0.1003 0.2327 0.9149 x8
Cu 0.1068 0.5000 0.4107 x4
Cu 0.1917 0.2519 0.3029 x8
Pd 0.0000 0.5000 0.0000 x2
Pd 0.1889 0.0000 0.7566 x4
Pd 0.2057 0.5000 0.8152 x4
Pt 0.0000 0.2465 0.5000 x4

Principal peaks in the range 5° ≤ 2θ ≤ 70°, low angle first:
(hkl)	2θ (°)	d (Å)	intensity
2 0 -1	18.61	4.768	9
2 2 0	29.65	3.013	11
0 2 2	35.63	2.519	11
0 4 0	42.75	2.115	35
4 2 -1	43.10	2.099	100
2 2 -3	43.58	2.077	64
2 4 2	62.34	1.489	20
6 0 -4	63.58	1.463	10

=====

No. 1
Starting from a structure optimized by DFT (PBE), the powder XRD pattern of Tb6Sm3Er was computed for Cu Kα (λ = 1.5418 Å).
Peak positions follow from Bragg's law for the DFT cell and can differ from measured ones.

Main lines, most intense first (15° ≤ 2θ ≤ 90°):
d/Å	I/Imax
2.858	100
2.642	34
2.802	32
1.661	24
1.431	21
3.142	21

Cell and atoms:
a = 11.5212 Å, b = 6.6191 Å, c = 9.6132 Å
α = 90.00°, β = 113.98°, γ = 90.00°
Space group C2/m (No. 12)
Asymmetric unit:
Tb (0.1369, 0.0000, 0.4224) (multiplicity 4)
Tb (0.1866, 0.2470, 0.8095) (multiplicity 8)
Sm (0.0000, 0.5000, 0.5000) (multiplicity 2)
Sm (0.0684, 0.5000, 0.1956) (multiplicity 4)
Er (0.0000, 0.0000, 0.0000) (multiplicity 2)

***

No. 2
Starting from a structure optimized by DFT (PBE), the powder XRD pattern of Ca2AlH10ClO8 was computed for Cu Kα (λ = 1.5418 Å).
Peak positions follow from Bragg's law for the DFT cell and can differ from measured ones.

Main lines, most intense first (15° ≤ 2θ ≤ 90°):
d/Å	I/Imax
2.877	100
4.065	98
3.920	94
2.304	68
2.214	50
2.393	42

Cell and atoms:
a = 9.9382 Å, b = 5.8189 Å, c = 16.7589 Å
α = 90.00°, β = 104.01°, γ = 90.00°
Space group Cc (No. 9)
Asymmetric unit:
Ca (0.0000, 0.1871, 0.0000) (multiplicity 4)
Ca (0.1969, 0.3117, 0.5725) (multiplicity 4)
Al (0.3489, 0.1871, 0.0362) (multiplicity 4)
H (0.0015, 0.4518, 0.1534) (multiplicity 4)
H (0.1925, 0.4174, 0.9187) (multiplicity 4)
H (0.2096, 0.4186, 0.7538) (multiplicity 4)
H (0.2261, 0.1416, 0.1537) (multiplicity 4)
H (0.2341, 0.0868, 0.4187) (multiplicity 4)
H (0.3415, 0.2779, 0.3185) (multiplicity 4)
H (0.3465, 0.2756, 0.7554) (multiplicity 4)
H (0.4665, 0.4595, 0.1522) (multiplicity 4)
H (0.4749, 0.2207, 0.9204) (multiplicity 4)
H (0.4799, 0.4140, 0.3175) (multiplicity 4)
Cl (0.0956, 0.2501, 0.2864) (multiplicity 4)
O (0.0002, 0.4948, 0.5981) (multiplicity 4)
O (0.1973, 0.3702, 0.9749) (multiplicity 4)
O (0.2194, 0.0880, 0.0979) (multiplicity 4)
O (0.2496, 0.2989, 0.7252) (multiplicity 4)
O (0.2955, 0.0902, 0.4738) (multiplicity 4)
O (0.4022, 0.4657, 0.0984) (multiplicity 4)
O (0.4395, 0.2976, 0.3472) (multiplicity 4)
O (0.4782, 0.2864, 0.9742) (multiplicity 4)

***

No. 3
Starting from a structure optimized by DFT (PBE), the powder XRD pattern of TbPu3I8 was computed for Cu Kα (λ = 1.5418 Å).
Peak positions follow from Bragg's law for the DFT cell and can differ from measured ones.

Main lines, most intense first (15° ≤ 2θ ≤ 90°):
d/Å	I/Imax
3.153	100
2.151	34
3.680	31
2.314	28
2.322	14
2.075	14

Cell and atoms:
a = 14.9060 Å, b = 8.6020 Å, c = 9.3426 Å
α = 90.00°, β = 122.38°, γ = 90.00°
Space group C2/m (No. 12)
Asymmetric unit:
Tb (0.0000, 0.0000, 0.0000) (multiplicity 2)
Pu (0.0000, 0.5000, 0.0000) (multiplicity 2)
Pu (0.2500, 0.2500, 0.0000) (multiplicity 4)
I (0.0011, 0.2439, 0.2455) (multiplicity 8)
I (0.2449, 0.0000, 0.2456) (multiplicity 4)
I (0.2501, 0.0000, 0.7522) (multiplicity 4)

***

No. 4
Starting from a structure optimized by DFT (PBE), the powder XRD pattern of PrEuZr was computed for Cu Kα (λ = 1.5418 Å).
Peak positions follow from Bragg's law for the DFT cell and can differ from measured ones.